• Published 16th Mar 2014
  • 12,112 Views, 532 Comments

The Witch of the Everfree Forest! - FLUTTERxxDASH

The Witch, to some a faerie, to most just a tale the tell kids to stay away from the Everfree. Twilight Sparkle had been alive for thousands of years, she has met and even taught many individuals but for the last one hundreds years, none have come in

  • ...

The one who spreads chaos!

Author's Note:

Software Checked.

Edited by these amazing people: Void Runner, Trail Cutter and EternityFlame. Please give them your love as they are absolutely amazing!:twilightblush::heart:

The Witch Of The Everfree Forest!

Written By

Serra Quill

"A little to the left, my dear, that's it, a little~ more... yes, just perfect"

"Rarity, please, just pick a ribbon... it's been three hours now." Sunset said with exasperation, slumping over in fatigue.

Her friend Rarity just waved her hand back and forth, "Pish posh Darling, you just can't rush perfection, everything has its place." Rarity said with conviction, adjusting her glasses before she called up to her other friend, who also sighed and moved the sheet a smidgen to the left.

"I have to agree with Egghead, like around two hours forty-five minutes ago. C'mon Rares, I am super bored now, not to mention hungry." Rainbow whined just as her stomach let out a massive gurgle. Pointing to her stomach, "See, it agrees, these purple ones will do, now c'mon will yah!" She said as she flew back to the ground to the others, "Let's get going already, were already extremely late as it is."

Sunset laughed loudly before letting out a small snort, giggle, "You’re concerned about being late? You’re the last person who could complain about being late dash, you always have your head in the clouds... or more precisely, on them," Sunset uttered with a smirk.

Dash pulled her face as Rarity gave a light chuckle herself, covering her mouth with her hand, "Yes, agreed, but I believe she is more worried that Pinkie will have eaten everything before we could get there... though, it is a very plausible worry... Maybe we should hurry up and get going after all." Rarity offered, to which her two friends cried out "Thank Celestia!" Rarity grumbled just before she started to walk in the direction of her pink friend's workplace, "Alright, alright, let's hop to it then, shall we?"

"Oh... I erm, I don't like the sound of that," a small girl with long soft pink hair said, before hiding behind her hair, "Sorry," she squeaked.

"But I need you and the rest of the girls to be able to get to the castle. Please Fluttershy, you're the only one who really knows how to get through the Everfree without much hassle from the wildlife." Sunset pleaded to Fluttershy as the valkyrie sat and twiddled her thumbs, quickly looking to her other friends who were around the table.

"W-well, I could, I mean, if you really, really~ needed help..." she said, looking away from Sunset, before adding in a whisper, "Please say you don't really need my help."

"If it was anything else, believe me, I wouldn't push this much, but I really, really need help." Sunset pleaded once again.


"Now wait a sec, Ya'll are sayin' ya' wan'ta be going to that spooky castle? Yah’ know it’s haunted right?" Applejack said, interrupting what Fluttershy was about to say, even making her begin to hide under the table as the cutlery started to bounce from her shivers.

"Oooh~ bouncy!" another Pink haired girl chimed as she started to bounce in rhythm with the knives and forks.

Rarity glared over to Pinkie before ducking slightly under the table to help out Fluttershy. Undeterred , Applejack carried on like nothing was happening, as did everyone else as they were used to it.

Here the page breaks off for crystal structures:
=====
The following is a PBE-GGA calculation of crystalline CaReRh2 at its relaxed geometry, from the Alexandria database.

abc: 9.315 9.315 9.315
angles: 17.80 17.80 17.80
Sites, in units of the cell vectors:
Rh  0.006  0.006  0.006
Rh  0.494  0.494  0.494
Re  0.750  0.750  0.750
Ca  0.250  0.250  0.250

The calculation puts the formation energy at 1.03 eV per formula unit. The value obtained for the spin magnetization is 0.0 μB/cell. As for the crystal system: trigonal. The symmetry is R-3m. The calculation puts the uncorrected energy at -7.03 eV/atom.
=====

"So then, what exactly haunts the castle?" Sunset said skeptically, "Will this be another Zecora case?"

Applejack grinned cheekily before adjusting her hat, "nah, that was different than this, ain't no lie. There's a tale 'bout that castle, that it has a curse upon it n' it's haunted by a ghost who brings chaos to anyone who walks the halls of the castle." she began as she leant further into the table, looking left to see if anyone was listening also checking her right side which coincidentally was the window. "They say he can cause chaos with just a snap of his fingers, he takes your friends or your family and turns them into shadows of their old selves, who start to act differently and then they just... then they disappear! That he lives in the shadows and that if you were to ever see him, you have to run, keep runnin' and never to look back at his eyes if he sees you."

Sunset sighed, What's with this town and all its fairy tales, first there was boggy bottoms basilisk problem that turned out to be just a dead tree that fell over and got covered in mud, plus it was Rose and her two friends who saw it first so that was a big give away to actually check what it was first. Then obviously there was Zecora, but Applebloom helped me out with that one, apparently the two had been friends after an accidental meeting and lastly, there was... "You can't believe every tale out there Applejack. What’s next, the witch becoming real?"

Applejack stared at Sunset for a second before she just simply said, "Yep..." with a gulp, Well I hadn't been told not to tell anyone about Twilight being the witch, since she said herself that she wasn't hidin'.

Twilight paced through the forest as Scootaloo followed her, leading the young girl into an area where there was currently no tree canopy above, "It’s not long now before we get there."

Scootaloo just nodded as she looked around her, jumping slightly at the sounds of the forest. Without her friends by her side, she was more scared of the forest than she thought she would be. Creeping closer to Twilight she followed quietly through the underbrush , until she had to shield her eyes from a sudden bout of sunshine as the clearing came into view.

Twilight carried on walking as Scootaloo looked around, before noticing Twilight and sprinting after her, "So, today I would like you to try another bit of druidic magic, slightly different than the first kind I taught you," she said as she morphed into a raven, flying up to a large boulder before changing back and landing in a sitting position on its edge with grace.

Without a clear way up, Scootaloo looked up at Twilight, since she had to admit that the boulder was too high for her to get up with her wings current health. "So is this magic I am going to be able to do? Because most of the magic involving using the stones didn't work that well for me... It worked pretty alright for Bloom though," she recalled.

Twilight nodded as she looked into the sky above them, a solitary cloud lazily drifting by, "I believe so, yes. Since it is more in-tune with your core, compared to your two friends who really don't need this specific spell... yet."

"And what would it be?" Scoot asked irritably, she thought Twilight was nice, but she did speak a bit too mystically sometimes... is mystically even a word...?

Twilight looked down with humor at the young girl, remembering of a time immemorial and chuckling, "I want to teach you how to see the air currents and all it entails, to be able to use it to your advantage, meaning you would need to use your muscles less and you could use your head instead. For instance-" she replied as she snapped her fingers; a blue feather appeared in the air and began to slowly float to the ground before Twilight gently caught it in her hand.

Twilight hopped down off the ledge and slowly floated down somehow, which Scootaloo gaped at in disbelief, "This feather here," she held her hand out with the item between her fingers, "it doesn't way much. The Calamus is a bone that is hollow that lessens the weight as well as the rest of the feather being very light,but still there is a force that drags it to the earth. Like so," she lectured as she tipped her hand, the feather drifting down before it landed on the ground without disturbing anything.

"Gravity, got it," Scoots answered, nodding as Twilight’s magic picked the feather up again, "I already know quite a bit about feathers since, y'know..."

"Yes, I do. It is still important. Now to stop gravity from pulling a Valkyrie to the earth because of their wing size, they use their magic and their stamina to keep aloft. In your case you have the magic, as well as the stamina, but you can't use it efficiently yet, so that's where this druidic magic can help." She began as she pointed to her eyes, a soft blue glow came over her iris that if Scootaloo wasn't paying attention, she probably would not have noticed if it were not for Twilight pointing it out.

"Whaaaat~ that looks so cool, can you like, shoot lasers out of your eyes or something with it?" she exclaimed in excitement, "cause a mark in eye lasers would be so cool!"

Whatever would someone want to shoot lasers from their eyes for, Twilight wondered as she shook her head, "I am afraid not." she said as Scootaloo 'awed'. It didn't last long, though, as Scootaloo seemed to be ready to listen again, "What it does do though, is it helps you find updrafts, as well as many other things the more you use it."

Scootaloo scratched her arm as she looked around them, "So how do I exactly use this magic then? I have no clue how to actually use my magic as its more passive compared to the other races..."

"And that is the tricky part. I will help you with your first use, then you can try to replicate the technique without me next time." Twilight said as she stood directly in front of the girl and held out her hand, "Would you hold my hand for a moment?"

Scootaloo did so without any hesitation since she did agree to learn druidic magic, and if she had to be honest it was pretty cool seeing Twilight do stuff that she said even she could do. She had agreed to start some minor training with Twilight just earlier when Twilight had suggested she had something she could teach her to help her fly quicker. "Like this?" she asked.

Twilight placed her thumb onto the back of Scootaloo’s hand, as she cupped it within her own, "It is fine, now close your eyes and try to clear your mind. Concentrate on what you feel," she finished as she started her spell, her eyes becoming the same tiny blue glow as before, just as a network of glowing blue lines streamed down her arm and attaching themselves to Scootaloo. Twilight held firm as Scootaloo squirmed slightly, "I know it feels peculiar, but you will get used to it." she said, as the lines made their way to Scoot’s neck before dividing into two separate lines and rising up her cheeks into her eyes.

"My eyes feel slightly warm... is that supposed to happen?" Scootaloo said worriedly, still having her eyes closed.

Twilight finished the spell as the lines receded back into her, "Yes it is. There isn't anything to worry about. Now this ability is something that is tricky to use but with time I am sure you will learn to adapt to its ways."

"So, can I open my eyes now or?"

"Slowly, as your eyes will feel more sensitive to the light, which is another thing that you will adjust to," she explained as Scootaloo slowly opened one eye and then the other, "Well, what can you see, can you describe it to me?"

Scootaloo stood still as she stared at the air around her, seeing bits of pale red and yellow whisking around them both in different hues, "I can see colors, lots and lots of colors," she said as she reached out to a red stream near her, feeling the slight change of temperature in the air and the speed at which it was rising up before the red receded into the sky. "Are these updrafts?"

Scootaloo turned to Twilight, seeing her with a smile that felt somehow different from normal, "Yes, yes they are. The more red, the more heat that is in the updraft, meaning you rise faster. The yellow tones are more mild updrafts that will keep you aloft It is a very helpful technique when you are outside, Blue streams are downdrafts... sadly this won't help much indoors or in enclosed areas. "

"Now Scootaloo, I want you to try to stop seeing these drafts on your own, just give it a try," Twilight asked as she watched Scootaloo nod with a grin.

Breathing out slowly Scootaloo closed her eyes and cleared her mind, concentrating on the feeling her eyes were giving off and trying her best to stop it, even growling in effort before she let out a puff of air and flung her arms in the air, "I can't!" she exclaimed.

Laughing, Twilight assured her that was fine, "I remember when I first did this, my teacher left me alone and never actually taught me how to stop the spell, he drove me absolutely mad. He would come and prank me and keep bugging me all day for days until he finally went too far, but at the same time I stopped thinking about my eyes and focused solely on him as I was too annoyed. As I did this, the spell tapered off and deactivated, so what do you think would be the cause for the spell wavering and disappearing?"

Scootaloo thought for a few seconds, as intriguing as it was to hear Twilight’s past, she was being taught something important and interesting. "Was it that you forgot about the spell being on your eyes?"

"Very perceptive. With me being bugged all the time, although it's clearly not the correct way of teaching," she said with a sigh, "it did show me what to do." Twilight walked over and held a hand on the girls back as she chuckled, "So are you interested in any boys?"

To this, Scootaloo sputtered as she waved her arms across her face, blushing as she hurriedly refused to be a mushy frilly girl who was into boys... with a gag to add dramatic effect.

Twilight gave a hearty laugh as Scootaloo noticed the enchantment on her eyes had dissipated, "Oh my, I haven't had so much fun in a thousand years, that old goat was annoying but he did have a few things to teach."

"That wasn't funny," Scoot grumped, folding her arms before she asked, "What old goat?"

At the question, Twilight flinched slightly before coughing into her hand, "A story for another time I am afraid, but I have two tasks for you now," She started, immediately getting away from the subject of her teacher.


Twilight walked back to the big boulder and patted it with her hand, "Try to reactivate the spell and use the air currents to get on top of this. Oh, and here," she said before passing her student a small blue crystal, already having left the other on top of the ledge when she went up earlier, "There is another stone on top of the boulder. If you get up there, I want you to touch the stones together as it will notify me of your success... Now, I will place a warding spell around the clearing so that absolutely no creatures but me or Spike will come near and then I can leave you to try your best."

Scootaloo shuffled her feet, "Maybe, erm... could you stay just a while longer? I will try my hardest, it's just I don't think I will be able to get it that easy and I might need some help."

Twilight walked over and gave the girl a pat on the head and ruffled her hair, "You will do fine. I will stay a while, but then I want you to be able to stay here and keep trying. I will be back in another few hours before night falls, you will be perfectly safe, I will even send Spike to keep you company if you wish?" She asked as Scootaloo smiled up happily.

Scootaloo nodded eagerly, "That’d be cool, if he's not too busy, I'll try my best!"

Twilight smiled down at her before nodding and moving to sit down on a close rock that was high enough to be a seat, "Then let’s begin, shall we?" she said as she started to cast her spell, just as Scootaloo tried to replicate how the spell from earlier felt and tried to activate it again.

Hours had passed and Scootaloo now slept, absolutely exhausted. She hadn't been able to fully activate the spell, but she said she got it to flicker on so a big smile was now spread across her face as she snuggled into the feathery blanket covering her on the couch. Twilight smiled down at her before she felt someone coming. Standing up, she exited her carved tree house and made her way to the small pond out back, waving at Spike, signaling him to go back to sleep.

Upon arrival, she smiled as she sat down on the fallen tree that was just beside the pond, turning her head to greet her visitor, who beat her to it, "Hello big sister."